
Alimentaria gets going with new industries suited to consumer trends

Thursday, 03 December, 2015
Alimentaria is all set for its forthcoming edition, to take place from 25 to 28 April 2016 in Fira de Barcelona’s Gran Vía venue. The International Food and Drink Exhibition is preparing for its fortieth anniversary with a far-reaching reconceptualisation of its exhibition range and a stronger strategic position in gastronomy, restaurant and food services and hotels and catering in order to guarantee maximum representation for exhibiting companies and to reflect new consumer trends and habits.
Multiple Foods joins diverse shows, streamlined from 14 to 5, and orders the exhibition range by origin, type and trend

The Alimentaria Hub and The Alimentaria Experience incorporate new innovative and gastronomic content

Alimentaria 2016 reaches its 40th year as a partner of the Spanish food industry

Therefore, together with driving-force industries such as Intervin, Interlact and Restaurama and long-standing shows such Interlact, Alimentaria 2016 promotes Multiple Foods to accommodate multi-product companies from the confectionary, preserves and oil industries, and international and regional participation. It also welcomes foods from the Mediterranean Diet and functional, ecological, organic and Premium foods. New spaces supported by the core objectives of the show: to promote business, innovation and the internationalisation of participating companies, and to highlight the values and attributes of food brands.

********
# 1
{
  "formula": "InRhSN2",
  "functional": "PBE",
  "state": "relaxed",
  "n_ef_per_ev_fu": 2.9,
  "formation_energy_uncorrected_ev_per_atom": 0.848,
  "dft_energy_ha_per_atom": -0.1957,
  "cell": [[3.862, 0.000, 0.000], [0.000, 3.862, 0.000], [0.000, 0.000, 5.235]],
  "species": ["In", "Rh", "S", "N", "N"],
  "frac_coords": [[0.000, 0.000, 0.000], [0.500, 0.500, 0.500], [0.500, 0.500, 0.000], [0.000, 0.500, 0.500], [0.500, 0.000, 0.500]]
}



# 2
{
  "formula": "CdSiPb3",
  "functional": "PBE",
  "state": "relaxed",
  "n_ef_per_ev_fu": 4.3,
  "formation_energy_uncorrected_ev_per_atom": 0.864,
  "dft_energy_ha_per_atom": -0.0966,
  "cell": [[5.604, 0.000, 0.000], [0.000, 5.604, 0.000], [0.000, 0.000, 5.604]],
  "species": ["Cd", "Si", "Pb", "Pb", "Pb"],
  "frac_coords": [[0.000, 0.000, 0.000], [0.500, 0.500, 0.500], [0.000, 0.000, 0.500], [0.000, 0.500, 0.000], [0.500, 0.000, 0.000]]
}



# 3
{
  "formula": "MgRuW",
  "functional": "PBE",
  "state": "relaxed",
  "n_ef_per_ev_fu": 3.0,
  "dft_energy_ha_per_atom": -0.2847,
  "formation_energy_ev_per_atom": 0.19,
  "cell": [[4.394, 0.000, 0.000], [-2.197, 3.806, 0.000], [0.000, 0.000, 2.814]],
  "species": ["Mg", "Ru", "W"],
********

As a result, Alimentaria is streamlining its shows from 14 in previous editions to 5 this time around, whilst also increasing the participation potential of exhibiting companies based around new consumer cores and trends. Multiple Foods, the new show of food trends and special and functional projects, adds Alimentación Ecológica, Olivaria, Expoconser, Interpesca, the International Pavilions, Lands of Spain, Snacks, Biscuits & Confectionary, Mediterranean Foods, Healthy Foods and Fine Foods, along with the Premium zone and the Olive Oil Bar.

Restaurama, meanwhile, integrates Expobebidas and will welcome Congelexpo companies.

Given that meat products, wines and gastronomy lead the Spanish food industry, these sectors will form the backbone of the event. Yet at the same time, “Alimentaria is strengthening the best production of the Mediterranean diet, preserves, confectionary and the rest of the production areas, grouping them together with other related areas to give exhibitors the chance to multiply their synergies,” asserts J. Antoni Valls, the managing director of Alimentaria and the maximum authority at the show.

Internationalisation, innovation and gastronomy

The activities at Alimentaria 2016 aim to detect and promote overseas business opportunities and drive innovation in the industry, as well as strengthening the connections between gastronomy, industry and tourism.

The show has already set its promotion campaign in motion around the world as it aims to identify and attract emerging markets and European countries, above all. Internationalisation is still a priority for Alimentaria and is in line with the Spanish food industry’s objectives, which propose stronger exports, moving from 22.6 billion euros in 2013 to 46 billion euros in 2020.

The internationalisation programmes, as well as the activities related to Innovation, will once again occupy a place at The Alimentaria Hub, which features the all-new consultancy area for those companies wishing to start exporting. Other content in this major area of innovation and internationalisation include the Innoval and Best Pack exhibitions, the Food & Drink Business Meetings and the RDI meetings by FIAB (the Spanish Food and Drink Industry Federation), Coffees with Experts by ICEX (the Spanish Institute for Foreign Trade), the International Congress of the Mediterranean Diet, the Creating Shared Value Congress, by Nestlé, the Food Factory space for start-ups and Business Angels, and the bloggers’ meeting.

Within the framework of the Restaurama show, The Alimentaria Experience – a major area of Alimentaria’s gastronomic trends – looks forward to its second edition as it strengthens well-received activities such as the gastronomic workshops and classes, featuring participation from eminent figures in international cuisine, the showcooking stations, the gastronomic bookstore and the grand finale of the Chef of the Year Awards. This interactive and creative space welcomes new sections devoted to gastronomic tourism, baked goods, patisserie products and ice-creams; cocktails, snacking and the latest trends in gastronomy: food trucks and urban food.

40 years serving the industry

Next year Alimentaria turns 40. For four decades the show has contributed to driving the most important changes occurring in the food industry and in our eating habits.

In 1976, Spain’s economy and commerce started to take off within a new and booming socio-political framework. The very same year Alimentaria materialised from the needs of a country in transition and the enterprise of a series of names searching for a platform to launch, provide visibility to and acknowledge the food industry – one of the liveliest in the Spanish economy. For the first time, a Spanish trade fair exhibited a complete and transversal range for the food industry and its production process to a national market, creating at that time the first Organising Committee made up of figures from the branch of distribution and the food industry.

The Committee has played a key role over the years in the design of the general guidelines that have ushered Alimentaria towards its current position as a leader. Chaired once again by Josep-Lluís Bonet, also the chairman of Freixenet, Fira de Barcelona and the Spanish Chamber of Commerce, new additions include Menéndez de Luarca, manager of the Food and Gastronomy Division of ICEX Spain Exports and Investment and Xavier Pagès, chairman of the Spanish Wine Federation and managing director of Codorniu, S.A. The other members are made up of Ignacio Ferrero, chairman of the Board of Directors at Idilia Foods, S.L; Jesús S. Pérez Díaz, chairman of FoodDrinkEurope; Javier Robles, chairman of Danone, S.A; Juan Mª Vieites, chairman of Anfaco/Cecopesca; Pedro Astals, chairman of FIAB; Josep Mª Bonmatí, managing director of Aecoc; Laurent Dereux, managing director of Nestlé España, S.A; Silvio Elías de Gispert, managing director of Ecoveritas, S.A; Juan José Guibelalde, board member of the Campofrío Group; Gonzalo Guillén, managing director of Aceites del Sur-Coosur S.A.; José Carlos Lacasa, board member of Chocolates Lacasa; Antonio Llorens, chairman and managing director of Serunión Elior; Jaime Rodríguez, managing director of Euromadi; and Josep Tejedo, managing director of Mercabarna. 

tagi: Alimentaria 2016 , Fira de Barcelona’s Gran Vía , International Food and Drink Exhibition ,